Configure organization policies

To migrate a project to a new organization resource, you must first apply an organization policy that will define the organization resources to which the project can migrate. You must also set an organization policy in the destination that defines the organization resources from which projects can be imported.

To configure organization policies required for the migration, you must have the roles/orgPolicy.policyAdmin role on the parent and the destination organization.

  • On the parent resource of the project you want to migrate between organization resources, set an organization policy that includes the constraints/resourcemanager.allowedExportDestinations constraint. This will define the target destination as a valid location to which you can migrate the project.

  • On the destination resource, set an organization policy that includes the constraints/resourcemanager.allowedImportSources constraint. This will define the source as a valid location from which you can migrate your project.

For example, say you had a project my-test-project that existed under an organization resource with the ID 12345678901, and you wanted to migrate it to a new organization resource for your secondary business unit, with the ID 45678901234.

You would set an organization policy on organizations/12345678901with the constraints/resourcemanager.allowedExportDestinations constraint enforced and under:organizations/45678901234 set as an allowed_value.

Then, set an organization policy on organizations/45678901234 with the constraints/resourcemanager.allowedImportSources constraint enforced and under:organizations/12345678901 set as an allowed_value.

Once these organization policies are enforced, you will be able to migrate my-test-project from organizations/12345678901 to organizations/45678901234, assuming you have the permissions noted in Assign permissions.

Change the billing account for a project

Cloud Billing accounts can be used across organization resources. Moving a project from one organization resource to another won't impact billing, and charges will continue against the old billing account. However, migration of projects between organization resources often also include a requirement to migrate to a new billing account.

To change the billing account, do the following:

  1. Go to the Billing page in the Google Cloud console.
    Go to the Billing page
  2. Click the name of the billing account you want to change.
  3. Under Projects linked to this billing account, find the name of the Project to migrate and then click the menu button to the right.
  4. Click Change billing, and then select the new billing account.
  5. Click Set account.

Charges already incurred that have not yet been reported in the transaction history will be billed to the former billing account. This can include charges from up to two days prior to when the project was migrated.

Migrate a billing account between organization resources

A billing account can be migrated from one organization resource to another, although this isn't often a necessary step. Most existing organization resources will already have a billing account that should be used instead.

If a new billing account has no organization resource associated with it, you must get the roles/billing.admin role on the billing account and the roles/billing.admin and roles/billing.creator roles on the organization resource that you want to associate with your billing account.

____________
The following is a GGA-PBE calculation of a geometry-optimized Si2BOsPb structure, from Alexandria via LeMat-Bulk.

Computed properties:
Its crystal system is tetragonal. The value obtained for the energy above the lowest structure with this stoichiometry is 0.0 meV per atom. As for the uncorrected formation energy: 0.843 eV/atom.

```
Si2BOsPb
1.0
4.4136 0.0000 0.0000
0.0000 4.4136 0.0000
0.0000 0.0000 4.2254
Si B Os Pb
2 1 1 1
Direct
0.0000 0.5000 0.0000
0.5000 0.0000 0.0000
0.0000 0.0000 0.0000
0.0000 0.0000 0.5000
0.5000 0.5000 0.5000
```

***

The following is a GGA-PBE calculation of a geometry-optimized BOsPbW2 structure, from Alexandria via LeMat-Bulk.

Computed properties:
As for the formation energy from the elements: 7.59 eV/f.u. Its crystal system is tetragonal.

```
BOsPbW2
1.0
4.9229 0.0000 0.0000
0.0000 4.9229 0.0000
0.0000 0.0000 4.0151
B Os Pb W
1 1 1 2
Direct
0.0000 0.0000 0.0000
0.0000 0.0000 0.5000
0.5000 0.5000 0.0000
0.0000 0.5000 0.5000
0.5000 0.0000 0.5000
```

***

The following is a GGA-PBE calculation of a geometry-optimized Y2BOsPb structure, from Alexandria via LeMat-Bulk.

Computed properties:
As for the formation energy from the elements: -1.61 eV/f.u. Its crystal system is tetragonal.

```
Y2BOsPb
1.0
5.0828 0.0000 0.0000
0.0000 5.0828 0.0000
0.0000 0.0000 4.1135
Y B Os Pb
2 1 1 1
Direct
0.0000 0.5000 0.0000
0.5000 0.0000 0.0000
0.0000 0.0000 0.0000
0.0000 0.0000 0.5000
0.5000 0.5000 0.5000
```

***

| no. | VASP energy (eV per atom) |
| --- | --- |
| 1 | -5.649 |
| 2 | -7.987 |
| 3 | -7.230 |


Mn3NiB: optimized geometry, PBE.

Lattice parameters (Å, degrees): 4.4433 4.4433 4.4433 90.00 90.00 90.00
Closest atoms and distances in Å follow each position.
Positions (direct):
Mn1 0.0000 0.0000 0.5000  2 Ni 2.22
Mn2 0.0000 0.5000 0.0000  2 Ni 2.22
Mn3 0.5000 0.0000 0.0000  2 Ni 2.22
Ni1 0.0000 0.0000 0.0000  6 Mn 2.22
B1 0.5000 0.5000 0.5000  12 Mn 3.14

Calculated values
Energy of formation from the pure elements (eV per atom): 1.521


A plane-wave DFT calculation with GGA-PBE was carried out for crystalline TiN4 at its relaxed geometry.

DOS(E_F): 4.452 states/eV per cell
Energy relative to the elements, uncorrected: 2093 meV per atom
Size of the total moment: 0.0273 μB/atom
Raw total energy: -6.147 eV per atom

a = 4.000 Å, b = 4.000 Å, c = 4.000 Å
α = 90.00°, β = 90.00°, γ = 90.00°
Space group Pm-3m (No. 221)
One atom of each set of equivalent atoms:
Ti  0.000  0.000  0.000
N  0.000  0.000  0.500
N  0.500  0.500  0.500

=====

A plane-wave DFT calculation with GGA-PBE was carried out for crystalline PuZnCoNi at its relaxed geometry.

ΔE_f: -0.13 eV/f.u.
DOS(E_F): 28.878 states/eV per cell
Size of the total moment: 0.9390 μB/atom
Raw total energy: -7.156 eV per atom

a = 6.279 Å, b = 6.279 Å, c = 6.279 Å
α = 90.00°, β = 90.00°, γ = 90.00°
Space group F-43m (No. 216)
One atom of each set of equivalent atoms:
Pu  0.000  0.000  0.000
Zn  0.000  0.000  0.500
Co  0.250  0.250  0.750
Ni  0.250  0.250  0.250

=====
____________
The data records stop here

If you need to migrate an existing billing account:

  1. You must get the roles/billing.admin role on the source and destination organization resources, and the roles/billing.creator role on the destination organization resource.

  2. Go to the Billing page in the Google Cloud console.
    Go to the Billing page

  3. Click on the name of the billing account you want to migrate.

  4. At the top of the Account Management page, click Change organization.

  5. Select the destination organization resource, and then click Ok.

The billing account is now associated with the specified organization resource.

What's next

To learn about how to handle special cases during project migration, see Handling special cases.